Your job: quote the whole of the data further below exactly.

- - -
(1)
# Pm6Nd2Y3 | Alexandria via LeMat-Bulk | PBE-GGA | optimized geometry
data_Pm6Nd2Y3
_cell_length_a 4.8264
_cell_length_b 4.8264
_cell_length_c 33.8594
_cell_angle_alpha 90.00
_cell_angle_beta 90.00
_cell_angle_gamma 90.00
_symmetry_space_group_name_H-M 'I 4/m m m'
_symmetry_Int_Tables_number 139
_symmetry_space_group_name_Hall '-I 4 2'
loop_
_atom_site_label
_atom_site_type_symbol
_atom_site_fract_x
_atom_site_fract_y
_atom_site_fract_z
Pm1 Pm 0.0000 0.0000 0.1953
Pm2 Pm 0.0000 0.5000 0.1209
Nd1 Nd 0.0000 0.0000 0.0455
Y1 Y 0.0000 0.0000 0.2979
Y2 Y 0.0000 0.0000 0.5000
# Energy relative to the elements, kJ per mole of atoms: 26.1

---

(2)
# Pm4NdY4 | Alexandria via LeMat-Bulk | PBE-GGA | optimized geometry
data_Pm4NdY4
_cell_length_a 10.8604
_cell_length_b 10.8604
_cell_length_c 5.1074
_cell_angle_alpha 90.00
_cell_angle_beta 90.00
_cell_angle_gamma 90.00
_symmetry_space_group_name_H-M 'I 4/m m m'
_symmetry_Int_Tables_number 139
_symmetry_space_group_name_Hall '-I 4 2'
loop_
_atom_site_label
_atom_site_type_symbol
_atom_site_fract_x
_atom_site_fract_y
_atom_site_fract_z
Pm1 Pm 0.0000 0.3329 0.0000
Nd1 Nd 0.0000 0.0000 0.0000
Y1 Y 0.1667 0.1667 0.5000
# Energy relative to the elements, kJ per mole of atoms: 1.4

---

(3)
# Pm2Nd5Y3 | Alexandria via LeMat-Bulk | PBE-GGA | optimized geometry
data_Pm2Nd5Y3
_cell_length_a 12.2821
_cell_length_b 17.4011
_cell_length_c 6.5365
_cell_angle_alpha 90.00
_cell_angle_beta 90.00
_cell_angle_gamma 90.00
_symmetry_space_group_name_H-M 'I b a m'
_symmetry_Int_Tables_number 72
_symmetry_space_group_name_Hall '-I 2 2c'
loop_
_atom_site_label
_atom_site_type_symbol
_atom_site_fract_x
_atom_site_fract_y
_atom_site_fract_z
Pm1 Pm 0.0859 0.1689 0.0000
Nd1 Nd 0.0000 0.5000 0.2500
Nd2 Nd 0.2438 0.3308 0.0000
Nd3 Nd 0.2480 0.0000 0.2500
Y1 Y 0.0000 0.0000 0.2500
Y2 Y 0.0910 0.3319 0.5000
# Energy relative to the elements, kJ per mole of atoms: 26.0

---

(4)
# Pm2NdY | Alexandria via LeMat-Bulk | PBE-GGA | optimized geometry
data_Pm2NdY
_cell_length_a 3.6603
_cell_length_b 3.6603
_cell_length_c 35.3670
_cell_angle_alpha 90.00
_cell_angle_beta 90.00
_cell_angle_gamma 120.00
_symmetry_space_group_name_H-M 'R 3 m'
_symmetry_Int_Tables_number 160
_symmetry_space_group_name_Hall 'R 3 -2"'
loop_
_atom_site_label
_atom_site_type_symbol
_atom_site_fract_x
_atom_site_fract_y
_atom_site_fract_z
Pm1 Pm 0.0000 0.0000 0.0000
Pm2 Pm 0.0000 0.0000 0.1642
Nd1 Nd 0.0000 0.0000 0.5827
Y1 Y 0.0000 0.0000 0.4158
# Energy relative to the elements, kJ per mole of atoms: 0.9

---

(5)
# PmNd3Y6 | Alexandria via LeMat-Bulk | PBE-GGA | optimized geometry
data_PmNd3Y6
_cell_length_a 11.0139
_cell_length_b 19.0170
_cell_length_c 6.4452
_cell_angle_alpha 90.00
_cell_angle_beta 90.00
_cell_angle_gamma 90.00
_symmetry_space_group_name_H-M 'C m c 21'
_symmetry_Int_Tables_number 36
loop_
_symmetry_equiv_pos_as_xyz
'x,y,z'
'-x,-y,z+1/2'
'-x,y,z'
'x,-y,z+1/2'
'x+1/2,y+1/2,z'
'-x+1/2,-y+1/2,z+1/2'
'-x+1/2,y+1/2,z'
'x+1/2,-y+1/2,z+1/2'
loop_
_atom_site_label
_atom_site_type_symbol
_atom_site_fract_x
_atom_site_fract_y
_atom_site_fract_z
Pm1 Pm 0.0000 0.1928 0.0000
Nd1 Nd 0.0000 0.3873 0.0701
Nd2 Nd 0.1792 0.1142 0.6787
Y1 Y 0.0000 0.0394 0.2774
Y2 Y 0.0000 0.2682 0.4787
Y3 Y 0.1674 0.4560 0.5899
Y4 Y 0.2368 0.2919 0.7661
# Energy relative to the elements, kJ per mole of atoms: 13.5

---

(6)
# PmNd3Y12 | Alexandria via LeMat-Bulk | PBE-GGA | optimized geometry
data_PmNd3Y12
_cell_length_a 5.0853
_cell_length_b 5.0853
_cell_length_c 20.3513
_cell_angle_alpha 90.00
_cell_angle_beta 90.00
_cell_angle_gamma 90.00
_symmetry_space_group_name_H-M 'P 4/m m m'
_symmetry_Int_Tables_number 123
_symmetry_space_group_name_Hall '-P 4 2'
loop_
_atom_site_label
_atom_site_type_symbol
_atom_site_fract_x
_atom_site_fract_y
_atom_site_fract_z
Pm1 Pm 0.0000 0.0000 0.0000
Nd1 Nd 0.0000 0.0000 0.2497
Nd2 Nd 0.0000 0.0000 0.5000
Y1 Y 0.0000 0.5000 0.1245
Y2 Y 0.0000 0.5000 0.3748
Y3 Y 0.5000 0.5000 0.0000
Y4 Y 0.5000 0.5000 0.2496
- - -

(1)
# Pm6Nd2Y3 | Alexandria via LeMat-Bulk | PBE-GGA | optimized geometry
data_Pm6Nd2Y3
_cell_length_a 4.8264
_cell_length_b 4.8264
_cell_length_c 33.8594
_cell_angle_alpha 90.00
_cell_angle_beta 90.00
_cell_angle_gamma 90.00
_symmetry_space_group_name_H-M 'I 4/m m m'
_symmetry_Int_Tables_number 139
_symmetry_space_group_name_Hall '-I 4 2'
loop_
_atom_site_label
_atom_site_type_symbol
_atom_site_fract_x
_atom_site_fract_y
_atom_site_fract_z
Pm1 Pm 0.0000 0.0000 0.1953
Pm2 Pm 0.0000 0.5000 0.1209
Nd1 Nd 0.0000 0.0000 0.0455
Y1 Y 0.0000 0.0000 0.2979
Y2 Y 0.0000 0.0000 0.5000
# Energy relative to the elements, kJ per mole of atoms: 26.1

---

(2)
# Pm4NdY4 | Alexandria via LeMat-Bulk | PBE-GGA | optimized geometry
data_Pm4NdY4
_cell_length_a 10.8604
_cell_length_b 10.8604
_cell_length_c 5.1074
_cell_angle_alpha 90.00
_cell_angle_beta 90.00
_cell_angle_gamma 90.00
_symmetry_space_group_name_H-M 'I 4/m m m'
_symmetry_Int_Tables_number 139
_symmetry_space_group_name_Hall '-I 4 2'
loop_
_atom_site_label
_atom_site_type_symbol
_atom_site_fract_x
_atom_site_fract_y
_atom_site_fract_z
Pm1 Pm 0.0000 0.3329 0.0000
Nd1 Nd 0.0000 0.0000 0.0000
Y1 Y 0.1667 0.1667 0.5000
# Energy relative to the elements, kJ per mole of atoms: 1.4

---

(3)
# Pm2Nd5Y3 | Alexandria via LeMat-Bulk | PBE-GGA | optimized geometry
data_Pm2Nd5Y3
_cell_length_a 12.2821
_cell_length_b 17.4011
_cell_length_c 6.5365
_cell_angle_alpha 90.00
_cell_angle_beta 90.00
_cell_angle_gamma 90.00
_symmetry_space_group_name_H-M 'I b a m'
_symmetry_Int_Tables_number 72
_symmetry_space_group_name_Hall '-I 2 2c'
loop_
_atom_site_label
_atom_site_type_symbol
_atom_site_fract_x
_atom_site_fract_y
_atom_site_fract_z
Pm1 Pm 0.0859 0.1689 0.0000
Nd1 Nd 0.0000 0.5000 0.2500
Nd2 Nd 0.2438 0.3308 0.0000
Nd3 Nd 0.2480 0.0000 0.2500
Y1 Y 0.0000 0.0000 0.2500
Y2 Y 0.0910 0.3319 0.5000
# Energy relative to the elements, kJ per mole of atoms: 26.0

---

(4)
# Pm2NdY | Alexandria via LeMat-Bulk | PBE-GGA | optimized geometry
data_Pm2NdY
_cell_length_a 3.6603
_cell_length_b 3.6603
_cell_length_c 35.3670
_cell_angle_alpha 90.00
_cell_angle_beta 90.00
_cell_angle_gamma 120.00
_symmetry_space_group_name_H-M 'R 3 m'
_symmetry_Int_Tables_number 160
_symmetry_space_group_name_Hall 'R 3 -2"'
loop_
_atom_site_label
_atom_site_type_symbol
_atom_site_fract_x
_atom_site_fract_y
_atom_site_fract_z
Pm1 Pm 0.0000 0.0000 0.0000
Pm2 Pm 0.0000 0.0000 0.1642
Nd1 Nd 0.0000 0.0000 0.5827
Y1 Y 0.0000 0.0000 0.4158
# Energy relative to the elements, kJ per mole of atoms: 0.9

---

(5)
# PmNd3Y6 | Alexandria via LeMat-Bulk | PBE-GGA | optimized geometry
data_PmNd3Y6
_cell_length_a 11.0139
_cell_length_b 19.0170
_cell_length_c 6.4452
_cell_angle_alpha 90.00
_cell_angle_beta 90.00
_cell_angle_gamma 90.00
_symmetry_space_group_name_H-M 'C m c 21'
_symmetry_Int_Tables_number 36
loop_
_symmetry_equiv_pos_as_xyz
'x,y,z'
'-x,-y,z+1/2'
'-x,y,z'
'x,-y,z+1/2'
'x+1/2,y+1/2,z'
'-x+1/2,-y+1/2,z+1/2'
'-x+1/2,y+1/2,z'
'x+1/2,-y+1/2,z+1/2'
loop_
_atom_site_label
_atom_site_type_symbol
_atom_site_fract_x
_atom_site_fract_y
_atom_site_fract_z
Pm1 Pm 0.0000 0.1928 0.0000
Nd1 Nd 0.0000 0.3873 0.0701
Nd2 Nd 0.1792 0.1142 0.6787
Y1 Y 0.0000 0.0394 0.2774
Y2 Y 0.0000 0.2682 0.4787
Y3 Y 0.1674 0.4560 0.5899
Y4 Y 0.2368 0.2919 0.7661
# Energy relative to the elements, kJ per mole of atoms: 13.5

---

(6)
# PmNd3Y12 | Alexandria via LeMat-Bulk | PBE-GGA | optimized geometry
data_PmNd3Y12
_cell_length_a 5.0853
_cell_length_b 5.0853
_cell_length_c 20.3513
_cell_angle_alpha 90.00
_cell_angle_beta 90.00
_cell_angle_gamma 90.00
_symmetry_space_group_name_H-M 'P 4/m m m'
_symmetry_Int_Tables_number 123
_symmetry_space_group_name_Hall '-P 4 2'
loop_
_atom_site_label
_atom_site_type_symbol
_atom_site_fract_x
_atom_site_fract_y
_atom_site_fract_z
Pm1 Pm 0.0000 0.0000 0.0000
Nd1 Nd 0.0000 0.0000 0.2497
Nd2 Nd 0.0000 0.0000 0.5000
Y1 Y 0.0000 0.5000 0.1245
Y2 Y 0.0000 0.5000 0.3748
Y3 Y 0.5000 0.5000 0.0000
Y4 Y 0.5000 0.5000 0.2496